Given
-- begin --
# 1
# Li7MnO4F2
Theoretical X-ray powder pattern, Cu Kα X-rays. Input: a cell relaxed with GGA+U.
Kinematic intensities with the Lorentz-polarization factor, no thermal factor.

The 10 most intense peaks (10 to 80 degrees two-theta), low angle first:
17.6 deg, rel. 32; 18.4 deg, rel. 47; 19.7 deg, rel. 100; 21.0 deg, rel. 40; 21.9 deg, rel. 39; 22.6 deg, rel. 33; 34.6 deg, rel. 63; 37.1 deg, rel. 48; 38.6 deg, rel. 35; 45.9 deg, rel. 22

Atomic structure:
Cell lengths 5.434, 5.786, 10.014 Å; angles 74.96, 87.50, 64.55 degrees
Space group P1 (No. 1)
Asymmetric unit:
Li  0.000  0.000  0.000 x1
Li  0.000  0.383  0.792 x1
Li  0.052  0.002  0.304 x1
Li  0.069  0.266  0.446 x1
Li  0.089  0.989  0.673 x1
Li  0.095  0.633  0.218 x1
Li  0.099  0.315  0.087 x1
Li  0.526  0.303  0.947 x1
Li  0.529  0.985  0.515 x1
Li  0.532  0.680  0.388 x1
Li  0.562  0.006  0.175 x1
Li  0.571  0.276  0.306 x1
Li  0.584  0.947  0.830 x1
Li  0.585  0.347  0.616 x1
Mn  0.056  0.651  0.520 x1
Mn  0.551  0.646  0.063 x1
O  0.230  0.885  0.497 x1
O  0.278  0.882  0.167 x1
O  0.362  0.389  0.451 x1
O  0.386  0.399  0.122 x1
O  0.715  0.891  0.018 x1
O  0.765  0.887  0.359 x1
O  0.806  0.412  0.959 x1
O  0.899  0.413  0.593 x1
F  0.226  0.950  0.848 x1
F  0.369  0.365  0.769 x1
F  0.773  0.924  0.666 x1
F  0.881  0.382  0.269 x1

***

# 2
# Li3MnO2F
Theoretical X-ray powder pattern, Cu Kα X-rays. Input: a cell relaxed with GGA+U.
Kinematic intensities with the Lorentz-polarization factor, no thermal factor.

The 10 most intense peaks (10 to 80 degrees two-theta), low angle first:
13.2 deg, rel. 89; 20.3 deg, rel. 28; 26.7 deg, rel. 92; 27.0 deg, rel. 100; 28.5 deg, rel. 61; 36.0 deg, rel. 63; 40.0 deg, rel. 49; 45.6 deg, rel. 34; 51.5 deg, rel. 29; 52.6 deg, rel. 28

Atomic structure:
Cell lengths 9.023, 9.972, 3.550 Å; angles 90.00, 90.00, 90.00 degrees
Space group Pnnm (No. 58)
Asymmetric unit:
Li  0.095  0.156  0.000 x4
Li  0.154  0.928  0.500 x4
Li  0.167  0.320  0.500 x4
Mn  0.115  0.602  0.000 x4
O  0.106  0.384  0.000 x4
O  0.170  0.122  0.500 x4
F  0.118  0.855  0.000 x4
-- stop --
Wanted
Please write out only the lines above with the word "first" in them.
Outcome
The 10 most intense peaks (10 to 80 degrees two-theta), low angle first:
The 10 most intense peaks (10 to 80 degrees two-theta), low angle first: